**Assignment:**
Return the material further below from the first line to the one with "0.0634" unchanged.
**Given:**
DFT (PBE) results for crystalline Rb2AuI6 at its relaxed geometry.

raw formation energy = -4.58 eV per formula unit

abc: 8.1715 8.1715 15.1218
angles: 90.00 90.00 90.00
Last column: magnetic moment on the atom in μB.
Sites, in units of the cell vectors:
I  0.8347  0.1653  0.6274  0.03
I  0.2291  0.7709  0.0000  0.24
I  0.2709  0.2709  0.5000  0.24
I  0.7291  0.7291  0.5000  0.24
I  0.6653  0.6653  0.1274  0.03
I  0.8347  0.1653  0.3726  0.03
I  0.1653  0.8347  0.3726  0.03
I  0.3347  0.3347  0.1274  0.03
I  0.7709  0.2291  0.0000  0.24
I  0.6653  0.6653  0.8726  0.03
I  0.1653  0.8347  0.6274  0.03
I  0.3347  0.3347  0.8726  0.03
Rb  0.0000  0.0000  0.8371  0.00
Rb  0.0000  0.0000  0.1629  0.00
Rb  0.5000  0.5000  0.6629  0.00
Rb  0.5000  0.5000  0.3371  0.00
Au  0.0000  0.0000  0.5000  0.14
Au  0.5000  0.5000  0.0000  0.14

---

DFT (PBE) results for crystalline Rb3Au2I8 at its relaxed geometry.

raw formation energy = -8.00 eV per formula unit

abc: 7.7902 7.7902 12.0952
angles: 71.21 71.21 60.00
Sites, in units of the cell vectors:
Au  0.3955  0.3955  0.8135
Au  0.6045  0.6045  0.1865
I  0.7910  0.2601  0.6887
I  0.7399  0.2090  0.3113
I  0.6837  0.6837  0.9490
I  0.7399  0.7399  0.3113
I  0.2601  0.7910  0.6887
I  0.2090  0.7399  0.3113
I  0.2601  0.2601  0.6887
I  0.3163  0.3163  0.0510
Rb  0.7924  0.7924  0.6229
Rb  0.0000  0.0000  0.0000
Rb  0.2076  0.2076  0.3771

---

DFT (PBE) results for crystalline Rb3Au2I7 at its relaxed geometry.

raw formation energy = -8.90 eV per formula unit

abc: 5.7735 5.9349 14.9398
angles: 101.46 90.00 90.00
Sites, in units of the cell vectors:
I  0.0000  0.4067  0.8133
I  0.0000  0.1966  0.3931
I  0.0000  0.8034  0.6069
I  0.5000  0.0940  0.1880
I  0.0000  0.0000  0.0000
I  0.0000  0.5933  0.1867
I  0.5000  0.9060  0.8120
Rb  0.5000  0.5000  0.0000
Rb  0.5000  0.6768  0.3536
Rb  0.5000  0.3232  0.6464
Au  0.0000  0.9012  0.8023
Au  0.0000  0.0988  0.1977

---

DFT (PBE) results for crystalline RbAuI at its relaxed geometry.

raw formation energy = -2.26 eV per formula unit

abc: 5.7306 5.7306 8.8440
angles: 87.19 87.19 76.32
Sites, in units of the cell vectors:
Rb  0.2819  0.2819  0.7386
Rb  0.7181  0.7181  0.2614
Au  0.8983  0.8983  0.6082
Au  0.1017  0.1017  0.3918
I  0.3189  0.3189  0.1682
I  0.6811  0.6811  0.8318

---

DFT (PBE) results for crystalline Rb4AuI3 at its relaxed geometry.

raw formation energy = -9.49 eV per formula unit

abc: 5.2305 9.0631 9.0631
angles: 109.44 90.00 90.00
Sites, in units of the cell vectors:
Rb  0.0000  0.2436  0.2436
Rb  0.5000  0.2468  0.7532
Rb  0.5000  0.7532  0.2468
Rb  0.0000  0.7564  0.7564
I  0.5000  0.5000  0.5000
I  0.0000  0.5000  0.0000
I  0.0000  0.0000  0.5000
Au  0.5000  0.0000  0.0000

---

DFT (PBE) results for crystalline Rb2AuI8 at its relaxed geometry.

raw formation energy = -5.79 eV per formula unit

abc: 7.4734 7.8118 10.1494
angles: 97.53 111.60 90.00
Sites, in units of the cell vectors:
I  0.0634  0.4177  0.1267
I  0.4270  0.6839  0.8540
I  0.6259  0.8582  0.2518
I  0.7869  0.7306  0.5737
I  0.3741  0.1418  0.7482
I  0.9366  0.5823  0.8733
I  0.2131  0.2694  0.4263
I  0.5730  0.3161  0.1460
Rb  0.2275  0.7649  0.4550
Rb  0.7725  0.2351  0.5450
Au  0.5000  0.0000  0.0000
**Reply:**
DFT (PBE) results for crystalline Rb2AuI6 at its relaxed geometry.

raw formation energy = -4.58 eV per formula unit

abc: 8.1715 8.1715 15.1218
angles: 90.00 90.00 90.00
Last column: magnetic moment on the atom in μB.
Sites, in units of the cell vectors:
I  0.8347  0.1653  0.6274  0.03
I  0.2291  0.7709  0.0000  0.24
I  0.2709  0.2709  0.5000  0.24
I  0.7291  0.7291  0.5000  0.24
I  0.6653  0.6653  0.1274  0.03
I  0.8347  0.1653  0.3726  0.03
I  0.1653  0.8347  0.3726  0.03
I  0.3347  0.3347  0.1274  0.03
I  0.7709  0.2291  0.0000  0.24
I  0.6653  0.6653  0.8726  0.03
I  0.1653  0.8347  0.6274  0.03
I  0.3347  0.3347  0.8726  0.03
Rb  0.0000  0.0000  0.8371  0.00
Rb  0.0000  0.0000  0.1629  0.00
Rb  0.5000  0.5000  0.6629  0.00
Rb  0.5000  0.5000  0.3371  0.00
Au  0.0000  0.0000  0.5000  0.14
Au  0.5000  0.5000  0.0000  0.14

---

DFT (PBE) results for crystalline Rb3Au2I8 at its relaxed geometry.

raw formation energy = -8.00 eV per formula unit

abc: 7.7902 7.7902 12.0952
angles: 71.21 71.21 60.00
Sites, in units of the cell vectors:
Au  0.3955  0.3955  0.8135
Au  0.6045  0.6045  0.1865
I  0.7910  0.2601  0.6887
I  0.7399  0.2090  0.3113
I  0.6837  0.6837  0.9490
I  0.7399  0.7399  0.3113
I  0.2601  0.7910  0.6887
I  0.2090  0.7399  0.3113
I  0.2601  0.2601  0.6887
I  0.3163  0.3163  0.0510
Rb  0.7924  0.7924  0.6229
Rb  0.0000  0.0000  0.0000
Rb  0.2076  0.2076  0.3771

---

DFT (PBE) results for crystalline Rb3Au2I7 at its relaxed geometry.

raw formation energy = -8.90 eV per formula unit

abc: 5.7735 5.9349 14.9398
angles: 101.46 90.00 90.00
Sites, in units of the cell vectors:
I  0.0000  0.4067  0.8133
I  0.0000  0.1966  0.3931
I  0.0000  0.8034  0.6069
I  0.5000  0.0940  0.1880
I  0.0000  0.0000  0.0000
I  0.0000  0.5933  0.1867
I  0.5000  0.9060  0.8120
Rb  0.5000  0.5000  0.0000
Rb  0.5000  0.6768  0.3536
Rb  0.5000  0.3232  0.6464
Au  0.0000  0.9012  0.8023
Au  0.0000  0.0988  0.1977

---

DFT (PBE) results for crystalline RbAuI at its relaxed geometry.

raw formation energy = -2.26 eV per formula unit

abc: 5.7306 5.7306 8.8440
angles: 87.19 87.19 76.32
Sites, in units of the cell vectors:
Rb  0.2819  0.2819  0.7386
Rb  0.7181  0.7181  0.2614
Au  0.8983  0.8983  0.6082
Au  0.1017  0.1017  0.3918
I  0.3189  0.3189  0.1682
I  0.6811  0.6811  0.8318

---

DFT (PBE) results for crystalline Rb4AuI3 at its relaxed geometry.

raw formation energy = -9.49 eV per formula unit

abc: 5.2305 9.0631 9.0631
angles: 109.44 90.00 90.00
Sites, in units of the cell vectors:
Rb  0.0000  0.2436  0.2436
Rb  0.5000  0.2468  0.7532
Rb  0.5000  0.7532  0.2468
Rb  0.0000  0.7564  0.7564
I  0.5000  0.5000  0.5000
I  0.0000  0.5000  0.0000
I  0.0000  0.0000  0.5000
Au  0.5000  0.0000  0.0000

---

DFT (PBE) results for crystalline Rb2AuI8 at its relaxed geometry.

raw formation energy = -5.79 eV per formula unit

abc: 7.4734 7.8118 10.1494
angles: 97.53 111.60 90.00
Sites, in units of the cell vectors:
I  0.0634  0.4177  0.1267